HL Deb 04 April 1995 vol 563 cc92-4

2.48 p.m.

Lord Craig of Radley asked Her Majesty's Government:

_Next to the piece, the page also holds materials data_
<<<
No. 1
Computed, not measured: an optimized crystal structure of ScRe2P at the GGA-PBE level of DFT.

Output
energy of formation from the pure elements	63	meV per atom

Lattice parameters (Å, degrees): 8.2425 8.2425 8.2425 21.01 21.01 21.01
Atoms (fractional coordinates):
Sc: 0.0000 0.0000 0.0000
Re: 0.2379 0.2379 0.2379
Re: 0.7621 0.7621 0.7621
P: 0.5000 0.5000 0.5000

No. 2
Computed, not measured: an optimized crystal structure of ScReP at the GGA-PBE level of DFT.

Output
energy of formation from the pure elements	-267	meV per atom
E above lowest polymorph	267	meV per atom

Lattice parameters (Å, degrees): 4.1493 4.1493 4.1493 60.00 60.00 60.00
Atoms (fractional coordinates):
Sc: 0.0000 0.0000 0.0000
Re: 0.5000 0.5000 0.5000
P: 0.7500 0.7500 0.7500

No. 3
Computed, not measured: an optimized crystal structure of ScRe2P at the GGA-PBE level of DFT.

Output
energy of formation from the pure elements	152	meV per atom

Lattice parameters (Å, degrees): 4.4400 4.4400 4.4400 60.00 60.00 60.00
Atoms (fractional coordinates):
Sc: 0.0000 0.0000 0.0000
Re: 0.5000 0.5000 0.5000
Re: 0.7500 0.7500 0.7500
P: 0.2500 0.2500 0.2500

No. 4
Computed, not measured: an optimized crystal structure of Sc3ReP at the GGA-PBE level of DFT.

Output
energy of formation from the pure elements	343	meV per atom
E above lowest polymorph	200	meV per atom

Lattice parameters (Å, degrees): 4.9670 4.9670 4.9670 90.00 90.00 90.00
Atoms (fractional coordinates):
Sc: 0.0000 0.0000 0.5000
Sc: 0.0000 0.5000 0.0000
Sc: 0.5000 0.0000 0.0000
Re: 0.0000 0.0000 0.0000
P: 0.5000 0.5000 0.5000

No. 5
Computed, not measured: an optimized crystal structure of ScReP at the GGA-PBE level of DFT.

Output
energy of formation from the pure elements	699	meV per atom
E above lowest polymorph	1232	meV per atom

Lattice parameters (Å, degrees): 4.3047 4.3047 4.3047 60.00 60.00 60.00
Atoms (fractional coordinates):
Sc: 0.0000 0.0000 0.0000
Re: 0.2500 0.2500 0.2500
P: 0.7500 0.7500 0.7500

No. 6
Computed, not measured: an optimized crystal structure of ScRe2P at the GGA-PBE level of DFT.

Output
energy of formation from the pure elements	-93	meV per atom

Lattice parameters (Å, degrees): 5.2307 5.2307 4.2998 113.66 113.66 34.74
Atoms (fractional coordinates):
Sc: 0.0000 0.0000 0.0000
Re: 0.5160 0.5160 0.5159
Re: 0.7688 0.7688 0.2886
P: 0.2314 0.2314 0.6959

No. 7
Computed, not measured: an optimized crystal structure of ScRe2P at the GGA-PBE level of DFT.

Output
energy of formation from the pure elements	-22	meV per atom

Lattice parameters (Å, degrees): 2.9559 4.5660 4.7000 90.00 90.89 90.00
Atoms (fractional coordinates):
Sc: 0.0000 0.0000 0.0000
Re: 0.3398 0.5000 0.7489
Re: 0.6602 0.5000 0.2511
P: 0.5000 0.0000 0.5000

No. 8
Computed, not measured: an optimized crystal structure of ScReP at the GGA-PBE level of DFT.

Output
energy of formation from the pure elements	-135	meV per atom
E above lowest polymorph	399	meV per atom

Lattice parameters (Å, degrees): 6.3944 6.1362 2.9678 81.20 71.50 27.30
>>>

Whether they are satisfied that there will be sufficient uniformed consultants in the defence medical services to meet the requirements of the Armed Forces for secondary medical care in peace or emergencies short of a full-scale war.

The Parliamentary Under-Secretary of State, Ministry of Defence (Lord Henley)

My Lords, I can assure the noble and gallant Lord that there will be sufficient uniformed consultants in the defence medical services to meet the requirements of the Armed Forces in such circumstances.

Lord Craig of Radley

My Lords, I thank the Minister for his reply. If the Minister were to be shot in the foot—I imply no personally inflicted injury—he would not wish it to be amputated without anaesthetic or the presence of an orthopaedic surgeon. Will he assure the House that fully manned and equipped medical services are essential to the morale and effectiveness of the front line?

Lord Henley

My Lords, I fully agree with the noble and gallant Lord. There are currently some shortfalls in manning certain specialisations. I should mention in particular anaesthetists. I understand that this is a wider problem which extends throughout the National Health Service. It is not just a problem for the defence medical services. I can assure the noble and gallant Lord that steps are being taken to address such problems. With regard to morale in the defence medical services, they have obviously been through great changes and it is understandable that people should have concerns about their future. But I can give an assurance that the future of the DMS is bright and the prospects will continue for a worthwhile and varied career for service medical personnel in the finest health care regime in the country.

## Unrelated to this page: data records
'''
Record 1
A relaxed structure of BaTm2ZnO5, computed with GGA-PBEsol.

Cell lengths 12.134, 5.625, 6.948 Å; angles 90.00, 90.00, 90.00 degrees
Positions (direct):
Ba 0.101 0.250 0.078
Ba 0.399 0.750 0.578
Ba 0.601 0.250 0.422
Ba 0.899 0.750 0.922
Tm 0.075 0.750 0.402
Tm 0.208 0.250 0.621
Tm 0.292 0.750 0.121
Tm 0.425 0.250 0.902
Tm 0.575 0.750 0.098
Tm 0.708 0.250 0.879
Tm 0.792 0.750 0.379
Tm 0.925 0.250 0.598
Zn 0.151 0.750 0.809
Zn 0.349 0.250 0.309
Zn 0.651 0.750 0.691
Zn 0.849 0.250 0.191
O 0.065 0.000 0.664
O 0.065 0.500 0.664
O 0.102 0.750 0.080
O 0.224 0.501 0.362
O 0.224 0.999 0.362
O 0.276 0.001 0.862
O 0.276 0.499 0.862
O 0.398 0.250 0.580
O 0.435 0.000 0.164
O 0.435 0.500 0.164
O 0.565 0.000 0.836
O 0.565 0.500 0.836
O 0.602 0.750 0.420
O 0.724 0.501 0.138
O 0.724 0.999 0.138
O 0.776 0.001 0.638
O 0.776 0.499 0.638
O 0.898 0.250 0.920
O 0.935 0.000 0.336
O 0.935 0.500 0.336

Calculated values
- Energy relative to the elements, uncorrected: -2982 meV per atom
- E: -7.40 eV/atom

Record 2
A relaxed structure of Ba5Tm8Zn4O21, computed with GGA-PBEsol.

Cell lengths 9.984, 9.984, 9.984 Å; angles 94.55, 94.55, 147.29 degrees
Positions (direct):
Ba 0.000 0.000 0.000
Ba 0.140 0.463 0.604
Ba 0.463 0.860 0.323
Ba 0.537 0.140 0.677
Ba 0.860 0.537 0.396
Tm 0.168 0.753 0.921
Tm 0.247 0.168 0.416
Tm 0.358 0.588 0.946
Tm 0.412 0.358 0.770
Tm 0.588 0.642 0.230
Tm 0.642 0.412 0.054
Tm 0.753 0.832 0.584
Tm 0.832 0.247 0.079
Zn 0.040 0.249 0.290
Zn 0.249 0.960 0.209
Zn 0.751 0.040 0.791
Zn 0.960 0.751 0.710
O 0.008 0.602 0.109
O 0.040 0.630 0.670
O 0.074 0.202 0.774
O 0.101 0.992 0.594
O 0.202 0.428 0.128
O 0.300 0.074 0.872
O 0.370 0.040 0.410
O 0.398 0.507 0.406
O 0.428 0.300 0.226
O 0.493 0.899 0.891
O 0.500 0.500 0.000
O 0.507 0.101 0.109
O 0.572 0.700 0.774
O 0.602 0.493 0.594
O 0.630 0.960 0.590
O 0.700 0.926 0.128
O 0.798 0.572 0.872
O 0.899 0.008 0.406
O 0.926 0.798 0.226
O 0.960 0.370 0.330
O 0.992 0.398 0.891

Calculated values
- Energy relative to the elements, uncorrected: -2967 meV per atom
- E: -7.35 eV/atom

Record 3
A relaxed structure of BaUO4, computed with GGA-PBEsol.

Cell lengths 5.800, 8.080, 8.187 Å; angles 90.00, 90.00, 90.00 degrees
Positions (direct):
Ba 0.018 0.193 0.250
Ba 0.018 0.307 0.750
Ba 0.982 0.693 0.250
Ba 0.982 0.807 0.750
U 0.500 0.000 0.000
U 0.500 0.000 0.500
U 0.500 0.500 0.000
U 0.500 0.500 0.500
O 0.202 0.576 0.569
O 0.202 0.576 0.931
O 0.202 0.924 0.069
O 0.202 0.924 0.431
O 0.352 0.250 0.000
O 0.352 0.250 0.500
O 0.384 0.527 0.250
O 0.384 0.973 0.750
O 0.616 0.027 0.250
O 0.616 0.473 0.750
O 0.648 0.750 0.000
O 0.648 0.750 0.500
O 0.798 0.076 0.569
O 0.798 0.076 0.931
O 0.798 0.424 0.069
O 0.798 0.424 0.431

Calculated values
- Energy relative to the elements, uncorrected: -3188 meV per atom
- E: -9.07 eV/atom
'''
## End of the data records

Lord Gisborough

My Lords, to what extent will the Territorial Army he used to provide medical officers in an emergency?

Lord Henley

My Lords, as my noble friend will know, we recently published a new paper on the future of the reserves. In the past we have made use of Territorial Army doctors and medical personnel when necessary. We shall continue to make use of them as and when it is appropriate. I hope that the new legislation, when and if Parliament approves it, will allow us to make yet further use of the TA as appropriate.

Lord Dean of Beswick

My Lords, if particular medical expertise not readily available to the Armed Forces is urgently needed for a specific case, can the Minister say whether the Armed Forces will have access to some of the centres of excellence in the National Health Service which can provide that expertise?

Lord Henley

My Lords, obviously if such a case arose we would make use of the National Health Service if necessary. I was trying to assure the noble and gallant Lord that we believe that the size of the defence medical services will be sufficient for all our operational requirements.

Lord Ironside

My Lords, can my noble friend say whether he feels that the balance of serving doctors and surgeons in each of the services is now about right? The numbers in each of the services seems to be disproportionate. In the Navy there are 309; in the Army, 217; and in the RAF, 403. There is also not a good balance among the nursing staff. There are 96 in the Royal Navy, 422 in the Army and 127 in the RAF. It would appear therefore that there is an imbalance. Can the Minister say whether there is any way of bringing each service more into balance from the point of view of serving doctors and surgeons?

Lord Henley

My Lords, we are happy that the numbers in all three services will be sufficient, as I made clear earlier, for supporting fully all the operational requirements of the Armed Forces, whether it is a single service or all three services. They will be capable of supporting simultaneous operations; for example, at the present time the emergency commitments in Angola, the Falklands and Bosnia-Herzegovina.

Lord Williams of Elvel

My Lords, can the Minister say whether there is interchangeability of medical expertise between the different services? For example, can a Navy doctor legitimately don an Army uniform or an Army doctor legitimately don a Navy uniform if the occasion requires? It would seem that, along with the joint staff college that we have been discussing, it would be a sensible arrangement.

Lord Henley

My Lords, I cannot say whether or not they can actually change uniform. However, the noble Lord will appreciate that there will be one single Ministry of Defence hospital, which will be tri-service. There will be a single tri-service defence medical service. There will then be a number of Ministry of Defence hospital units attached to NHS hospitals. One will be in Plymouth, which I imagine will have more of a naval flavour; one will be near Aldershot and will no doubt have more of an Army flavour. But there is no reason why individual doctors in individual services cannot move across services to enable a naval doctor to operate on the foot of an Army soldier.

Lord Glenarthur

My Lords, can my noble friend say what the present total number of uniformed consultants is across the services, as compared with five years ago?

Lord Henley

My Lords, I cannot remember what the figures are of five years ago. We are planning on a complement of 365 consultants and senior specialists.

Lord Ashley of Stoke

My Lords, to take my noble friend's question a little further, obviously by definition the Armed Forces must have first call on the medical services. However, if those medical services are not required by the Armed Forces for emergencies or anything else, will they be available for civilians who may need such services and who are on waiting lists for medical treatment?

Lord Henley

My Lords, the noble Lord is right to stress that defence medical services are to provide for the Armed Forces, and particularly for the Armed Forces' front line role. Obviously they will be able to provide a degree of assistance for dependants within the Armed Forces, not as of right, but where there is a degree of slack or where there is a need to provide appropriate training to our own specialists which they cannot obtain purely from looking after a constituency of relatively fit young men and women.

Lord Vivian

My Lords, will my noble friend review the date of the closure of the Queen Elizabeth Military Hospital at Woolwich in view of the fact that it would appear that it is to close at the same time as the new military wings being established in the National Health Service hospitals at Frimley and Peterborough?

Lord Henley

• Attached: materials data:
/*
1.
TaMnCd | Alexandria | meta-GGA SCAN | PBEsol geometry; energy = -37.191 eV/atom; symmetry = F-43m (216); polymorph energy (0 for the lowest one) = 0.493 eV/atom; calculated formation energy = 1.23 eV/atom
1.0
-0.777 -2.373 3.520
2.567 -3.332 0.966
2.658 0.237 3.392
Cd Mn Ta
1 1 1
Direct
0.000 0.000 0.000
0.500 0.500 0.500
0.250 0.250 0.250

---

2.
LiNiBO3 | Alexandria | meta-GGA SCAN | PBEsol geometry; energy = -9.561 eV/atom; symmetry = P-1 (2); polymorph energy (0 for the lowest one) = 0.000 eV/atom; raw formation energy = -2.114 eV/atom
1.0
-3.540 0.031 -3.336
-1.488 -0.045 4.827
2.726 4.990 0.486
Li Ni B O
2 2 2 6
Direct
0.446 0.395 0.684
0.554 0.605 0.316
0.176 0.765 0.749
0.824 0.235 0.251
0.810 0.094 0.747
0.190 0.906 0.253
0.007 0.318 0.662
0.993 0.682 0.338
0.621 0.156 0.850
0.379 0.844 0.150
0.772 0.805 0.711
0.228 0.195 0.289

---

3.
LiOsSN2 | Alexandria | meta-GGA SCAN | PBEsol geometry; energy = -20.268 eV/atom; symmetry = P4/mmm (123); polymorph energy (0 for the lowest one) = 0.000 eV/atom; raw formation energy = 0.228 eV/atom
1.0
-0.036 -2.997 2.243
3.347 -1.030 -1.322
2.269 2.699 3.643
S Li Os N
1 1 1 2
Direct
0.000 0.000 0.500
0.500 0.500 0.500
0.000 0.000 0.000
0.000 0.500 0.000
0.500 0.000 0.000

* * * * *

Below is a geometry-optimized Sr2MnAlO5 structure, with properties calculated at the PBE with a Hubbard U level.

Structure (extended XYZ):
```
18
Lattice="1.629 -6.984 0.000 1.629 6.984 0.000 0.000 0.000 10.356" Properties=species:S:1:pos:R:3 pbc="T T T"
Sr 1.629 5.407 5.178
Sr 1.629 5.057 1.362
Sr 1.629 -5.057 6.540
Sr 1.629 -5.407 0.000
Mn 1.629 4.009 8.762
Mn 1.629 -4.009 3.584
Al 1.629 0.870 2.758
Al 1.629 -0.870 7.936
O 1.629 6.167 8.765
O 1.629 2.945 4.828
O 1.629 2.612 2.262
O 1.629 2.146 8.562
O 1.629 0.017 1.237
O 1.629 -0.017 6.415
O 1.629 -2.146 3.384
O 1.629 -2.612 7.440
O 1.629 -2.945 10.006
O 1.629 -6.167 3.587
```

Computed properties:
Its space group is Cmc2_1, No. 36. For the total energy, the calculation gives -6.751 eV per atom. The value obtained for the volume is 236 Å³ per cell.
*/

My Lords, we have no plans to do so and I do not believe that it will be necessary to do so.

Lord Williams of Elvel

My Lords, can I press the Minister a little further on this Question? Let us assume that certain emergencies arise, short of a full-scale war as mentioned in the Question, and there are civilian casualties. Can I take it that if the defence medical services are not employed at the front line, they will be available for those civilian casualties as well?

Lord Henley

My Lords, in the circumstances the noble Lord highlights, if the services are available they will be available for that task.

Lord Craig of Radley

My Lords, in view of the shortage in certain consultant specialisations dealing with trauma, which the Minister acknowledged, can he say what additional steps the Government have in mind to correct the shortfall?

Lord Henley

My Lords, as I said, we are taking steps to look at the specific problems in relation to anaesthetists. Where shortages occur in other areas we shall have to look hard at the situation, insisting that consultants stay on rather than taking premature voluntary retirement, should they be seeking that. It is important that we keep those numbers up. We shall look at all possible means to make sure that numbers in each speciality are kept up to the appropriate level.